Warning: Aboriginal and Torres Strait Islander people are advised that this article contains the names of people who are now deceased.
Agile and respectful philanthropy that centres on partnerships and community brings about better outcomes for everyone involved. Jackie Yowell from the Fairer Futures Fund (a sub-fund of Australian Communities Foundation) has experienced this firsthand since she and her husband, Steve Rothfield, established this fund with ACF more than twelve years ago.
Their motivation in naming the fund, Jackie says, was to “contribute to changing the circumstances that underly what is unfair or unjust in our society”.
From the outset, Jackie and Steve decided to focus their giving on Indigenous issues. They had learned much by working personally in partnership with Indigenous people, first up north in Cape York and in recent years in Shepparton. They also established a relationship with Melbourne-based non-profit Woor-Dungin, which has continued their learning journey about the concerns of Indigenous communities, by “understanding circumstances, history, hearing personal stories, observing the community in discussion and in action,” Jackie explains.
Woor-Dungin was founded by five Aboriginal women and Christa Momot, who had previously worked with the Reichstein Foundation on capacity-building with Aboriginal community-controlled organisations (ACCOs). The founders understood that funding was inaccessible to ACCOs and there was a real need to “get the resources for ACCOs to genuinely do what their community wants to do,” says Christa.
As Woor-Dungin founding member Aunty Glenys, a proud Taungerong women, put it “I don’t want to start another organisation that tells our mob what we can’t do or what we should do! It’s time we crack open philanthropy”.
The greater flexibility of structured giving, or “the beauty of philanthropy” as Christa calls it, is a good fit for ACCOs and helps foster meaningful partnerships within the community.
Jackie agrees that strengthening the organisations that Indigenous people control also builds their community’s progress, and so she has been a friend and funder of Woor-Dungin for many years. She says one of the biggest lessons is that “to be effective, we need to listen to the people who need the change, and how your support can work best for them”.
“There’s also the realisation that nothing can be achieved as quickly or as simply as hoped,” Jackie continues.
“Indigenous people often speak of dadirri – deep listening. In doing so, we discover differences that make us question our own perceived values and assumptions such as the significance of connections to kin and country and valuing personal relations above professional formality.”
Woor-Dungin and the coalition of partners it works with are at the centre of the change to bring more Indigenous people and Indigenous-led organisations into the conversation about philanthropic funding and the decision-making process.
“We’re just like a connector pen,” Woor-Dungin’s Christa Momot says.
Entry 1:
VASP calculation (PBE-GGA) on Li2Mg2Cd2In after structural relaxation.

Calculated values
DFT formation energy = -172 meV per atom
magnetic moment = 0.000 μB/f.u.
calculated total energy = -12.8 eV per formula unit

abc: 7.511 7.511 7.511
angles: 37.72 37.72 37.72
Fractional positions:
Li1 0.067 0.067 0.067
Li2 0.933 0.933 0.933
Mg1 0.216 0.216 0.216
Mg2 0.784 0.784 0.784
Cd1 0.356 0.356 0.356
Cd2 0.644 0.644 0.644
In1 0.500 0.500 0.500

---

Entry 2:
VASP calculation (PBE-GGA) on KTm2AgF8 after structural relaxation.

Calculated values
uncorrected formation energy = -40.87 eV/f.u.
magnetic moment = 0.101 μB/f.u.
calculated total energy = -68.7 eV per formula unit

abc: 6.118 3.808 7.596
angles: 90.00 90.05 90.00
Fractional positions:
K1 0.000 0.000 0.000
Tm1 0.500 0.500 0.251
Tm2 0.500 0.500 0.749
Ag1 0.000 0.000 0.500
F1 0.294 0.500 0.500
F2 0.296 0.000 0.745
F3 0.297 0.000 0.254
F4 0.299 0.500 0.000
F5 0.701 0.500 0.000
F6 0.703 0.000 0.746
F7 0.704 0.000 0.255
F8 0.706 0.500 0.500

---

Entry 3:
VASP calculation (PBE-GGA) on KIr2Os after structural relaxation.

Calculated values
DFT formation energy = 1448 meV per atom
magnetic moment = 0.000 μB/f.u.
calculated total energy = -24.3 eV per formula unit
polymorph energy (0 for the lowest one) = 967 meV per atom

abc: 4.903 4.903 4.903
angles: 130.39 130.39 72.79
Fractional positions:
K1 0.000 0.000 0.000
Ir1 0.500 0.500 0.000
Ir2 0.750 0.250 0.500
Os1 0.250 0.750 0.500

---

Entry 4:
VASP calculation (PBE-GGA) on SrLiLa2 after structural relaxation.

Calculated values
DFT formation energy = 252 meV per atom
magnetic moment = 0.000 μB/f.u.
calculated total energy = -12.4 eV per formula unit
polymorph energy (0 for the lowest one) = 178 meV per atom

abc: 6.889 6.889 3.644
angles: 90.00 90.00 119.30
Fractional positions:
Sr1 0.000 0.000 0.000
Li1 0.500 0.500 0.000
La1 0.000 0.500 0.500
La2 0.500 0.000 0.500

----------

Crystalline Pr6GeAs3S2 at its relaxed geometry, computed with PBE-GGA.

The structure in CIF format:
```
data_Pr6GeAs3S2
_space_group_name_H-M_alt 'P 1'
_space_group_IT_number 1
_cell_length_a 4.256
_cell_length_b 8.509
_cell_length_c 9.508
_cell_angle_alpha 102.80
_cell_angle_beta 102.93
_cell_angle_gamma 90.00
loop_
_space_group_symop_operation_xyz
'x,y,z'
loop_
_atom_site_label
_atom_site_type_symbol
_atom_site_fract_x
_atom_site_fract_y
_atom_site_fract_z
As1 As 0.167 0.831 0.335
As2 As 0.500 0.500 0.000
Ge1 Ge 0.500 0.000 0.000
Pr1 Pr 0.666 0.083 0.333
S1 S 0.831 0.663 0.663
Pr2 Pr 0.334 0.416 0.667
Pr3 Pr 0.334 0.917 0.667
Pr4 Pr 0.999 0.750 0.997
Pr5 Pr 0.001 0.250 0.003
As3 As 0.833 0.169 0.665
Pr6 Pr 0.666 0.584 0.333
S2 S 0.169 0.337 0.337
```

Energy relative to the elements, uncorrected   -1.588 eV per atom
Raw total energy   -6.21 eV per atom
Crystal system   monoclinic
Space group   C2/m (12)

***

Crystalline NbCrTc at its relaxed geometry, computed with PBE-GGA.

The structure in CIF format:
```
data_NbCrTc
_space_group_name_H-M_alt 'P 1'
“Once we bring Aboriginal partners into the partnership program, we go on country and meet with our partner staff and our board to talk about what it is they would like to do, their challenges and what resources they need.
“Based on these conversations we develop a community development plan and we’ll try to match resources to that plan.”
Resources go beyond funding to include accessing pro bono services, creating a network of volunteers and identifying what each organisation needs.
One of Woor-Dungin’s key projects, the Criminal Record Discrimination Project, is working towards two major law reforms, motivated by the injustices faced by many Aboriginal people, including Uncle Larry Walsh. The project has been championed by Stan Winford, Associate Director at the RMIT Centre for Innovative Justice and Professor Bronwyn Naylor from the Graduate School of Business & Law, RMIT University. It was also facilitated by Michael Bell, CEO of Winda-Mara Aboriginal Corporation, and was met with unanimous support at the Aboriginal Justice Forum in 2017. Winda-Mara Aboriginal Corporation in Heywood, Victoria, is a partner ACCO of Woor-Dungin.
“I love my work and I love that we are able to genuinely support ACCOs towards self-determination,” says Christa.
Earlier this year, Jackie was the joint recipient of the Aunty Frances Bond/Aunty Glenys Merry Award for her incredible contributions to Woor-Dungin over past four years. She shared the award with Sherree Chaudhry of Winda-Mara, saying “I am very honoured to share it with Sherree, knowing the work she does for her community and that it also reflects all the good work Woor-Dungin does to foster good partnerships.”
Jackie’s advice to other philanthropic funders looking to get involved in this work? “Seek out opportunities to meet, ‘yarn’ informally, listen deeply and understand the challenges of Indigenous people working their communities’ progress.”
Read more about the Criminal Record Discrimination Project here.